Your job: duplicate all of the rows below verbatim.

<<<
[1]
20
Properties=species:S:1:pos:R:3:forces:R:3:mulliken_charge:R:1 method="wB97M-V/def2-TZVPD" e_above_lowest_kcal_mol=172.5 lumo_energy_ev=-0.26 orbital_gap_ev=5.2578 total_energy_ev=-9493.339 max_force_ev_per_a=4.8
C 1.98795 0.70917 0.83776 3.4 2.5 0.6 -1.1545
C 1.38286 1.24019 -0.75924 -3.5 -0.1 -1.0 -0.6999
C 0.85931 -0.01107 -0.15374 -3.5 -0.2 -3.3 1.1812
C -0.48911 -0.20394 0.42849 1.6 0.8 -0.4 -0.7736
C -1.77916 0.23500 -0.06529 -0.4 -0.8 -0.6 -0.1020
C -2.95779 -0.26499 0.42588 -0.7 0.2 1.6 -0.4187
O -4.32632 0.28544 0.18266 3.5 -0.6 0.0 -0.4917
C 1.37040 -1.35476 -0.86385 1.3 2.9 2.5 -1.3880
H 2.91996 0.13220 0.71146 -0.5 0.3 0.0 0.3098
H 1.54672 0.47844 1.80247 -0.2 0.0 -0.1 0.3570
H 2.39239 1.82942 1.03796 -0.8 -1.9 -0.4 0.3873
H 1.95337 1.12034 -1.73648 0.1 0.3 1.8 0.2662
H 0.62730 2.17103 -0.79570 2.1 -2.0 0.8 0.3322
H -0.36166 -0.74799 1.36550 -0.8 -0.3 -0.2 0.2553
H -1.80604 0.71817 -1.07839 0.0 0.2 1.3 0.2470
H -2.92880 -1.02606 1.31193 -0.2 1.6 -1.5 0.2222
H -4.82322 -0.51679 0.18099 -1.0 -0.7 -0.1 0.3154
H 0.53174 -1.85610 -1.22553 -1.1 -0.7 -0.7 0.3959
H 1.78418 -1.83374 0.00059 0.5 -1.2 0.0 0.3966
H 2.11592 -1.10395 -1.60748 0.3 -0.3 -0.1 0.3624

---

[2]
20
Properties=species:S:1:pos:R:3:forces:R:3:mulliken_charge:R:1 method="wB97M-V/def2-TZVPD" e_above_lowest_kcal_mol=63.6 smiles=C#CCOC(C)(C)C lumo_energy_ev=0.76 orbital_gap_ev=10.4816 total_energy_ev=-9498.059 max_force_ev_per_a=3.9
C 3.09867 2.73428 0.70141 -0.1 -0.3 -0.4 0.1646
C 2.19814 1.96831 0.46360 -3.0 0.3 1.4 -0.9036
C 0.71312 1.33343 0.57532 3.7 1.3 -0.5 -0.0265
O 0.85525 0.19608 -0.17783 -3.2 -2.2 -0.3 -0.3384
C -0.47213 -0.65411 -0.24898 1.6 -0.1 -0.6 1.5156
C -0.06873 -1.99211 0.35722 0.2 -0.1 0.1 -1.5568
C -1.71235 -0.10102 0.44853 0.3 0.6 0.2 -1.6407
C -0.71207 -0.77699 -1.74833 0.0 0.1 -0.2 -1.5623
H 3.90623 3.41783 0.82896 0.0 -0.2 0.0 0.4524
H 0.00535 2.04815 0.14193 0.1 0.1 0.2 0.2379
H 0.49667 1.12288 1.62814 0.1 0.3 0.0 0.2451
H -0.84228 -2.75268 0.19941 0.0 0.2 0.0 0.3913
H 0.10143 -1.89569 1.43463 -0.1 0.0 -0.1 0.3489
H 0.86602 -2.35449 -0.08181 -0.2 0.1 0.0 0.3562
H -2.56486 -0.77914 0.31572 0.4 0.0 -0.1 0.4101
H -1.55760 0.01546 1.52530 0.0 0.0 -0.1 0.4006
H -2.00608 0.87250 0.04505 0.0 -0.1 0.0 0.4056
H 0.19651 -1.10273 -2.26417 -0.1 0.0 0.2 0.3582
H -0.98865 0.19266 -2.17535 0.0 -0.1 0.1 0.3511
H -1.51264 -1.49261 -1.96878 0.1 0.1 0.1 0.3906

---

[3]
20
Properties=species:S:1:pos:R:3:forces:R:3:mulliken_charge:R:1 method="wB97M-V/def2-TZVPD" e_above_lowest_kcal_mol=46.1 smiles="C=CC(C=C)=CC.O" lumo_energy_ev=0.80 orbital_gap_ev=9.0510 total_energy_ev=-9498.818 max_force_ev_per_a=1.2
C -1.12644 -1.74458 1.67039 0.6 -0.1 0.9 -0.8948
C -1.10185 -1.31162 0.41529 0.1 -0.3 0.6 -0.1816
C 0.04769 -0.56021 -0.16060 0.1 -0.4 -0.2 0.9740
C 0.29776 -0.85708 -1.60843 -1.2 -0.4 0.2 -0.4206
C -0.66777 -0.81705 -2.52504 0.7 0.7 -0.3 -0.7810
C 0.89525 0.18407 0.55115 0.5 0.1 -0.4 -0.2331
C 1.93131 1.07243 -0.07565 0.0 -0.6 -0.6 -1.2636
H -0.33708 -1.46910 2.36521 0.3 0.0 -0.3 0.1628
H -1.79184 -2.43532 2.17733 -0.6 0.3 -0.7 0.2811
H -1.92968 -1.57229 -0.23293 0.2 0.0 -0.3 0.2430
H 1.21666 -1.37708 -1.86829 0.2 0.5 0.1 0.3685
H -0.43345 -1.02729 -3.56203 -0.2 -0.3 0.0 0.2835
H -1.63238 -0.37204 -2.32332 -0.1 -0.1 0.1 0.2628
H 0.90110 0.20220 1.63073 -0.6 0.2 0.1 0.2609
H 2.02364 0.87106 -1.14802 -0.2 0.1 0.1 0.3728
H 1.59513 2.10556 0.03303 0.3 0.0 0.1 0.2489
H 2.93285 0.91118 0.32155 0.0 0.3 0.4 0.3184
O -0.68222 2.64670 1.16184 -0.2 0.3 0.4 -0.6039
H -1.56908 2.28112 1.28167 0.2 0.0 0.0 0.3018
H -0.56961 3.26932 1.89612 -0.1 -0.2 -0.3 0.3000

---

[4]
20
Properties=species:S:1:pos:R:3:forces:R:3:mulliken_charge:R:1 method="wB97M-V/def2-TZVPD" e_above_lowest_kcal_mol=72.3 smiles="C/C=C/O.C=CC=C" lumo_energy_ev=0.62 orbital_gap_ev=8.3245 total_energy_ev=-9497.683 max_force_ev_per_a=3.5
C 2.06104 -1.12897 0.31217 -0.2 0.2 0.0 -1.2264
C 1.25973 0.13376 0.20388 2.5 1.5 -0.4 -0.0366
C 1.45441 1.02157 -0.81281 -0.4 -2.3 0.9 -0.2187
>>>

[1]
20
Properties=species:S:1:pos:R:3:forces:R:3:mulliken_charge:R:1 method="wB97M-V/def2-TZVPD" e_above_lowest_kcal_mol=172.5 lumo_energy_ev=-0.26 orbital_gap_ev=5.2578 total_energy_ev=-9493.339 max_force_ev_per_a=4.8
C 1.98795 0.70917 0.83776 3.4 2.5 0.6 -1.1545
C 1.38286 1.24019 -0.75924 -3.5 -0.1 -1.0 -0.6999
C 0.85931 -0.01107 -0.15374 -3.5 -0.2 -3.3 1.1812
C -0.48911 -0.20394 0.42849 1.6 0.8 -0.4 -0.7736
C -1.77916 0.23500 -0.06529 -0.4 -0.8 -0.6 -0.1020
C -2.95779 -0.26499 0.42588 -0.7 0.2 1.6 -0.4187
O -4.32632 0.28544 0.18266 3.5 -0.6 0.0 -0.4917
C 1.37040 -1.35476 -0.86385 1.3 2.9 2.5 -1.3880
H 2.91996 0.13220 0.71146 -0.5 0.3 0.0 0.3098
H 1.54672 0.47844 1.80247 -0.2 0.0 -0.1 0.3570
H 2.39239 1.82942 1.03796 -0.8 -1.9 -0.4 0.3873
H 1.95337 1.12034 -1.73648 0.1 0.3 1.8 0.2662
H 0.62730 2.17103 -0.79570 2.1 -2.0 0.8 0.3322
H -0.36166 -0.74799 1.36550 -0.8 -0.3 -0.2 0.2553
H -1.80604 0.71817 -1.07839 0.0 0.2 1.3 0.2470
H -2.92880 -1.02606 1.31193 -0.2 1.6 -1.5 0.2222
H -4.82322 -0.51679 0.18099 -1.0 -0.7 -0.1 0.3154
H 0.53174 -1.85610 -1.22553 -1.1 -0.7 -0.7 0.3959
H 1.78418 -1.83374 0.00059 0.5 -1.2 0.0 0.3966
H 2.11592 -1.10395 -1.60748 0.3 -0.3 -0.1 0.3624

---

[2]
20
Properties=species:S:1:pos:R:3:forces:R:3:mulliken_charge:R:1 method="wB97M-V/def2-TZVPD" e_above_lowest_kcal_mol=63.6 smiles=C#CCOC(C)(C)C lumo_energy_ev=0.76 orbital_gap_ev=10.4816 total_energy_ev=-9498.059 max_force_ev_per_a=3.9
C 3.09867 2.73428 0.70141 -0.1 -0.3 -0.4 0.1646
C 2.19814 1.96831 0.46360 -3.0 0.3 1.4 -0.9036
C 0.71312 1.33343 0.57532 3.7 1.3 -0.5 -0.0265
O 0.85525 0.19608 -0.17783 -3.2 -2.2 -0.3 -0.3384
C -0.47213 -0.65411 -0.24898 1.6 -0.1 -0.6 1.5156
C -0.06873 -1.99211 0.35722 0.2 -0.1 0.1 -1.5568
C -1.71235 -0.10102 0.44853 0.3 0.6 0.2 -1.6407
C -0.71207 -0.77699 -1.74833 0.0 0.1 -0.2 -1.5623
H 3.90623 3.41783 0.82896 0.0 -0.2 0.0 0.4524
H 0.00535 2.04815 0.14193 0.1 0.1 0.2 0.2379
H 0.49667 1.12288 1.62814 0.1 0.3 0.0 0.2451
H -0.84228 -2.75268 0.19941 0.0 0.2 0.0 0.3913
H 0.10143 -1.89569 1.43463 -0.1 0.0 -0.1 0.3489
H 0.86602 -2.35449 -0.08181 -0.2 0.1 0.0 0.3562
H -2.56486 -0.77914 0.31572 0.4 0.0 -0.1 0.4101
H -1.55760 0.01546 1.52530 0.0 0.0 -0.1 0.4006
H -2.00608 0.87250 0.04505 0.0 -0.1 0.0 0.4056
H 0.19651 -1.10273 -2.26417 -0.1 0.0 0.2 0.3582
H -0.98865 0.19266 -2.17535 0.0 -0.1 0.1 0.3511
H -1.51264 -1.49261 -1.96878 0.1 0.1 0.1 0.3906

---

[3]
20
Properties=species:S:1:pos:R:3:forces:R:3:mulliken_charge:R:1 method="wB97M-V/def2-TZVPD" e_above_lowest_kcal_mol=46.1 smiles="C=CC(C=C)=CC.O" lumo_energy_ev=0.80 orbital_gap_ev=9.0510 total_energy_ev=-9498.818 max_force_ev_per_a=1.2
C -1.12644 -1.74458 1.67039 0.6 -0.1 0.9 -0.8948
C -1.10185 -1.31162 0.41529 0.1 -0.3 0.6 -0.1816
C 0.04769 -0.56021 -0.16060 0.1 -0.4 -0.2 0.9740
C 0.29776 -0.85708 -1.60843 -1.2 -0.4 0.2 -0.4206
C -0.66777 -0.81705 -2.52504 0.7 0.7 -0.3 -0.7810
C 0.89525 0.18407 0.55115 0.5 0.1 -0.4 -0.2331
C 1.93131 1.07243 -0.07565 0.0 -0.6 -0.6 -1.2636
H -0.33708 -1.46910 2.36521 0.3 0.0 -0.3 0.1628
H -1.79184 -2.43532 2.17733 -0.6 0.3 -0.7 0.2811
H -1.92968 -1.57229 -0.23293 0.2 0.0 -0.3 0.2430
H 1.21666 -1.37708 -1.86829 0.2 0.5 0.1 0.3685
H -0.43345 -1.02729 -3.56203 -0.2 -0.3 0.0 0.2835
H -1.63238 -0.37204 -2.32332 -0.1 -0.1 0.1 0.2628
H 0.90110 0.20220 1.63073 -0.6 0.2 0.1 0.2609
H 2.02364 0.87106 -1.14802 -0.2 0.1 0.1 0.3728
H 1.59513 2.10556 0.03303 0.3 0.0 0.1 0.2489
H 2.93285 0.91118 0.32155 0.0 0.3 0.4 0.3184
O -0.68222 2.64670 1.16184 -0.2 0.3 0.4 -0.6039
H -1.56908 2.28112 1.28167 0.2 0.0 0.0 0.3018
H -0.56961 3.26932 1.89612 -0.1 -0.2 -0.3 0.3000

---

[4]
20
Properties=species:S:1:pos:R:3:forces:R:3:mulliken_charge:R:1 method="wB97M-V/def2-TZVPD" e_above_lowest_kcal_mol=72.3 smiles="C/C=C/O.C=CC=C" lumo_energy_ev=0.62 orbital_gap_ev=8.3245 total_energy_ev=-9497.683 max_force_ev_per_a=3.5
C 2.06104 -1.12897 0.31217 -0.2 0.2 0.0 -1.2264
C 1.25973 0.13376 0.20388 2.5 1.5 -0.4 -0.0366
C 1.45441 1.02157 -0.81281 -0.4 -2.3 0.9 -0.2187